Select Theme
□ose Ok Current theme = mat
Façade of the nave of Antwerp Cathedral, material theme in construction and query on areas
Attribute themes may group information on materials, pathology or construction phases. They are not imposed but created by the
users, according to their needs. Themes are further divided in layers related to the attributes types (stone and wood in a material
theme for instance). When a new theme is created, a layer 'unknown' is automatically assigned to all the triangles. The user must then
create specific layers and qualify the geometry relating triangles to layers. This is a two times process: making a selection and
choosing an attribute to apply to the selection. The colours of the deselected elements become lighter to give a feedback to the user.
Different options are available to define a set of geometrical data. Triangles can be selected (or de-selected) one at the time or using
polygons (inscribed or round). A selection set can be redefined by intersection, union or difference with the triangles belonging to a
given layer. It can also be inverted, made empty or include all the triangles. With this system it is for instance possible to select
elements inside a given area, built in stone and prior to a given construction stage. As the model's construction progresses, adding
new attributes becomes therefore easier. Small Tel scripts can be written with all the commands necessary to easily reuse selection
When a selection is made, an attribute can be assigned from the list of existing attributes (layers) from the active theme. The selection
set remains active until the complete set is reselected. So more attributes can be applied to the same set. One element complicates the
process: feature edges may not correspond to triangles edges. The transition line between brick and stone may for instance fall inside
# Someone pasted records of crystals at this point
Material: LiZr5TlF22
Method: DFT, PBE-GGA
State: optimized geometry

abc: 11.839 8.163 8.163
angles: 90.00 90.00 90.00
Space group Pnc2 (No. 30)
Unique sites:
Li 0.000 0.000 0.000 [2 per cell]
Zr 0.255 0.180 0.180 [4 per cell]
Zr 0.255 0.680 0.320 [4 per cell]
Zr 0.500 0.000 0.500 [2 per cell]
Tl 0.000 0.000 0.486 [2 per cell]
F 0.088 0.139 0.140 [4 per cell]
F 0.088 0.639 0.361 [4 per cell]
F 0.213 0.213 0.430 [4 per cell]
F 0.213 0.571 0.787 [4 per cell]
F 0.214 0.071 0.714 [4 per cell]
F 0.214 0.713 0.071 [4 per cell]
F 0.300 0.000 0.000 [4 per cell]
F 0.402 0.086 0.300 [4 per cell]
F 0.402 0.201 0.587 [4 per cell]
F 0.402 0.586 0.201 [4 per cell]
F 0.402 0.701 0.914 [4 per cell]

**ΔH_f (0 K)**: -3837 meV per atom
**Uncorrected energy**: -380.5 eV per cell
**Magnetization**: 0.0 μB/f.u.


Material: Li4UF8
Method: DFT, PBE-GGA
State: optimized geometry

abc: 9.965 10.128 5.893
angles: 90.00 90.00 90.00
Space group Pnma (No. 62)
Unique sites:
Li 0.101 0.080 0.130 [8 per cell]
Li 0.128 0.054 0.621 [8 per cell]
U 0.137 0.750 0.369 [4 per cell]
F 0.016 0.611 0.138 [8 per cell]
F 0.018 0.616 0.610 [8 per cell]
F 0.198 0.250 0.622 [4 per cell]
F 0.202 0.250 0.125 [4 per cell]
F 0.238 0.531 0.374 [8 per cell]

**ΔH_f (0 K)**: -3452 meV per atom
**Uncorrected energy**: -301.7 eV per cell
**Magnetization**: 0.0 μB/f.u.


(1)
VASP calculation (meta-GGA r2SCAN) on a geometry-optimized Zr2Fe12P7 structure.

SG ... P-6

a b c (Å): 9.120 9.120 3.468
angles (deg): 90.00 90.00 120.00
Element x y z (fractional)
Zr1 0.000 0.000 0.000
Zr2 0.333 0.667 0.500
Fe1 0.056 0.776 0.500
Fe2 0.093 0.395 0.000
Fe3 0.224 0.280 0.500
Fe4 0.302 0.907 0.000
Fe5 0.393 0.220 0.000
Fe6 0.546 0.117 0.500
Fe7 0.571 0.454 0.500
Fe8 0.605 0.698 0.000
Fe9 0.720 0.944 0.500
Fe10 0.780 0.173 0.000
Fe11 0.827 0.607 0.000
Fe12 0.883 0.429 0.500
P1 0.085 0.636 0.000
P2 0.257 0.052 0.500
P3 0.364 0.449 0.000
P4 0.551 0.915 0.000
P5 0.667 0.333 0.000
P6 0.795 0.743 0.500
P7 0.948 0.205 0.500

=====

(2)
VASP calculation (meta-GGA r2SCAN) on a geometry-optimized ZrFeP structure.

SG ... Pnma

a b c (Å): 6.305 3.747 7.003
angles (deg): 90.00 90.00 90.00
Element x y z (fractional)
Zr1 0.012 0.250 0.188
Zr2 0.488 0.750 0.688
Zr3 0.512 0.250 0.312
Zr4 0.988 0.750 0.812
Fe1 0.145 0.250 0.563
Fe2 0.355 0.750 0.063
Fe3 0.645 0.250 0.937
Fe4 0.855 0.750 0.437
P1 0.216 0.750 0.391
P2 0.284 0.250 0.891
P3 0.716 0.750 0.109
P4 0.784 0.250 0.609

=====

(3)
VASP calculation (meta-GGA r2SCAN) on a geometry-optimized Tm12Fe2Pb3 structure.

SG ... I4/mmm

a b c (Å): 8.401 8.401 8.401
angles (deg): 109.93 109.93 108.56
Element x y z (fractional)
Tm1 0.038 0.792 0.246
Tm2 0.208 0.454 0.246
Tm3 0.208 0.962 0.754
Tm4 0.310 0.310 0.620
Tm5 0.310 0.690 0.000
Tm6 0.454 0.208 0.246
Tm7 0.546 0.792 0.754
Tm8 0.690 0.310 0.000
Tm9 0.690 0.690 0.380
Tm10 0.792 0.038 0.246
Tm11 0.792 0.546 0.754
Tm12 0.962 0.208 0.754
Fe1 0.380 0.380 0.000
Fe2 0.620 0.620 0.000
Pb1 0.000 0.000 0.000
Pb2 0.000 0.500 0.500
a triangle. If the triangles were very small (their dimension being of the order of magnitude of the details), it would not be so
important, but it is unlikely to be so. A tool was therefore devised to refine the mesh. It uses a cutting segment defined on the model
with the mouse. The triangles created receive by default the attributes and texture from the original triangle.
2.2 Vector graphics
Points and segments can be drawn. They are placed in the active layer of the active theme. They are drawn via picking or via
coordinate introduction. Display points defined by the mouse (2D) are projected on the model (3D). It is possible to draw a segment
connecting the two 3D points so defined or a 'polyline' intersecting the model. These tools allow the user to draw very quickly the
joints of a stone, cracks or any other 1-dimensional features.
Section can also be drawn, selecting or defining a plane (via 3 points). The easiness of the process allows the user to quickly search
for the best position. In just one command, it is possible to generate iso-lines of a vault.
Geometries can be imported and exported via DXF files. Of course, only the limited number of spatial elements supported could be
imported. Original layers are mapped on layers of the active theme. If the names do not match, new sub-layers are created.